Module _winxptheme

A module which provides an interface to the Windows XP 'theme' API.
Note that this module will fail to load on non-Windows XP versions. Generally you should use the 'winxptheme' module which will load on all Windows versions, and provide implementations of IsThemeActive() or IsAppThemed() which return False when XP is not used, and provides all objects from this module when XP is used. See for more details.


Open the theme data for the specified HWND and semi-colon separated list of class names.
OpenThemeData() will try each class name, one at a time, and use the first matching theme info found. If a match is found, a theme handle to the data is returned. If no match is found, a "NULL" handle is returned.
When the window is destroyed or a WM_THEMECHANGED msg is received, _winxptheme::CloseThemeData should be called to close the theme handle. 

(Between two parts of the article: crystal structures)
/*
# PBE with a Hubbard U MnSbO4, relaxed
data_MnSbO4
_cell_length_a 5.649
_cell_length_b 9.792
_cell_length_c 5.649
_cell_angle_alpha 90.00
_cell_angle_beta 90.00
_cell_angle_gamma 90.00
_space_group_name_H-M_alt 'C 2 2 21'
_space_group_IT_number 20
loop_
_space_group_symop_operation_xyz
'x,y,z'
'-x,-y,z+1/2'
'x,-y,-z'
'-x,y,-z+1/2'
'x+1/2,y+1/2,z'
'-x+1/2,-y+1/2,z+1/2'
'x+1/2,-y+1/2,-z'
'-x+1/2,y+1/2,-z+1/2'
loop_
_atom_site_label
_atom_site_type_symbol
_atom_site_fract_x
_atom_site_fract_y
_atom_site_fract_z
Mn1 Mn 0.000 0.235 0.250
Sb1 Sb 0.241 0.500 0.500
O1 O 0.000 0.033 0.250
O2 O 0.000 0.451 0.250
O3 O 0.249 0.201 0.020
# Final energy: -160.21 eV for the cell shown
# M_tot: 0.667 μB/atom
*/

Closes the theme data handle. This should be done when the window being themed is destroyed or whenever a WM_THEMECHANGED msg is received (followed by an attempt to create a new Theme data handle). 

Draws the theme-specified border and fill for the "iPartId" and "iStateId". This could be based on a bitmap file, a border and fill, or other image description. 

Draws the text using the theme-specified color and font for the "iPartId" and "iStateId". 

Gets the size of the content for the theme-defined background. This is usually the area inside the borders or Margins. 

Calculates the size/location of the theme- specified background based on the "pContentRect". 

Can be used to test if a system theme is active for the current user session.
use the API _winxptheme::IsAppThemed to test if a theme is active for the calling process. 

Returns True if a theme is active and available to the current process 

If window is themed, returns its most recent HTHEME from OpenThemeData() - otherwise, returns NULL. 

Enables/disables dialog background theme. This method can be used to tailor dialog compatibility with child windows and controls that may or may not coordinate the rendering of their client area backgrounds with that of their parent dialog in a manner that supports seamless background texturing. 

Reports whether the dialog supports background texturing. 

Returns the app property flags that control theming 

Enables or disables themeing for the current user in the current and future sessions. 

Rredirects an existing Window to use a different section of the current theme information than its class normally asks for. 

Get the name of the current theme in-use, the canonical color scheme name (not the display name) and the canonical size name (not the display name).